Now restate the lines underneath up to the one that holds "P4/mmm, No.", that line included.

'''
Density functional theory data (PBE-GGA) for a relaxed ScTl3P crystal.

```
ScTl3P
1.0
5.6044 0.0000 0.0000
0.0000 5.6044 0.0000
0.0000 0.0000 5.6044
Sc Tl P
1 3 1
direct
0.0000 0.0000 0.0000
0.0000 0.0000 0.5000
0.0000 0.5000 0.0000
0.5000 0.0000 0.0000
0.5000 0.5000 0.5000
```

Distance to the lowest polymorph of the same formula = 263.2 meV per atom
Formation energy from the elements = 18.6 kcal/mol of atoms
Electronic total energy = -2.96 eV per atom

=====

1.
A relaxed NdAsPd4 crystal, computed with PBE-GGA.

Its uncorrected energy is -5.4700 eV/atom. Its calculated density is 9.6 Mg/m³.

It has space group F-43m (No. 216), with a = 7.6325 Å, b = 7.6325 Å, c = 7.6325 Å, α = 90.00°, β = 90.00° and γ = 90.00°. Symmetry generates all atoms from Nd at (0.0000, 0.0000, 0.0000), As at (0.2500, 0.2500, 0.7500) and Pd at (0.1250, 0.1250, 0.3750).



2.
A relaxed PrFe2I8 crystal, computed with PBE-GGA.

The energy relative to the elements, uncorrected comes out at -0.595 eV/atom. Its calculated density is 3.8 Mg/m³.

It has space group C2/m (No. 12), with a = 13.3738 Å, b = 11.6517 Å, c = 7.0841 Å, α = 90.00°, β = 93.42° and γ = 90.00°. Symmetry generates all atoms from Pr at (0.0000, 0.0000, 0.0000), Fe at (0.1964, 0.0000, 0.6510), I at (0.1037, 0.1857, 0.7574), I at (0.1250, 0.5000, 0.2237) and I at (0.1969, 0.0000, 0.2809).



3.
A relaxed La2CdInRu crystal, computed with PBE-GGA.

Its uncorrected energy is -4.7962 eV/atom. Its calculated density is 6.7 Mg/m³.

It has space group P4/mmm (No. 123), with a = 5.3086 Å, b = 5.3086 Å, c = 5.3677 Å, α = 90.00°, β = 90.00° and γ = 90.00°. Symmetry generates all atoms from La at (0.0000, 0.5000, 0.0000), Cd at (0.0000, 0.0000, 0.5000), In at (0.5000, 0.5000, 0.5000) and Ru at (0.0000, 0.0000, 0.0000).

=====

## NdYMgAu (GGA-PBE)

Data for a relaxed structure of NdYMgAu.

```
data_NdYMgAu
_chemical_formula_sum 'Nd1 Y1 Mg1 Au1'
_space_group_name_H-M_alt 'P 1'
_space_group_IT_number 1
_space_group_name_Hall 'P 1'
_cell_length_a 3.755
_cell_length_b 3.755
_cell_length_c 7.428
_cell_angle_alpha 90.00
_cell_angle_beta 90.00
_cell_angle_gamma 90.00
loop_
_atom_site_label
_atom_site_fract_x
_atom_site_fract_y
_atom_site_fract_z
Au1 0.500 0.500 0.125
Mg1 0.500 0.500 0.595
Y1 0.000 0.000 0.340
Nd1 0.000 0.000 0.868
```

Computed properties:
For the total energy, the calculation gives -4.481 eV/atom. As for the total magnetization: 0.0 μB/f.u. For the calculated volume, the calculation gives 26.18 A^3/atom. For the energy above the lowest structure with this stoichiometry, the calculation gives 0 meV per atom. The calculation puts the formation energy at -1.822 eV/f.u.

=====

MgCdSeS: relaxed, PBE.

The structure in POSCAR format:
```
MgCdSeS
1.0
4.203 0.000 0.000
-2.102 3.640 0.000
0.000 0.000 6.853
Mg Cd Se S
1 1 1 1
direct
0.000 0.000 0.000 Mg
0.667 0.333 0.529 Cd
0.000 0.000 0.379 Se
0.667 0.333 0.905 S
```

Properties
The space group is P3m1. The total energy is -14.005 eV per formula unit.

=====

Below is YS2N2 after structural relaxation, with properties calculated at the GGA-PBEsol level.

Lattice parameters (Å, degrees): 3.9940 3.9940 4.0452 90.00 90.00 90.00
Last column: nearest neighbours and their distance in Å.
Fractional positions:
S (0.0000, 0.5000, 0.0000)  2 N 2.00
N (0.0000, 0.0000, 0.5000)  2 N 2.02
S (0.5000, 0.0000, 0.0000)  2 N 2.00
N (0.0000, 0.0000, 0.0000)  4 S 2.00, 2 N 2.02
Y (0.5000, 0.5000, 0.5000)  4 N 2.82, 8 S 2.84

Computed properties:
The space-group type is P4/mmm, No. 123. The value obtained for the formation energy without anion corrections is 0.3009 eV/atom. For the density of states at the Fermi level, the calculation gives 2.04 states/eV/cell. The final energy is -6.23 eV per atom.

=====

# Ca2Pr2Pd15

Crystalline Ca2Pr2Pd15 at its relaxed geometry (PBE, Alexandria via LeMat-Bulk).

Values from the calculation:
Calculated density ... 9.30 g/cm³
Energy ... -5.3138 eV per atom
Total moment ... 0.0 μB per cell
Symmetry ... R-3m, No. 166
'''

Density functional theory data (PBE-GGA) for a relaxed ScTl3P crystal.

```
ScTl3P
1.0
5.6044 0.0000 0.0000
0.0000 5.6044 0.0000
0.0000 0.0000 5.6044
Sc Tl P
1 3 1
direct
0.0000 0.0000 0.0000
0.0000 0.0000 0.5000
0.0000 0.5000 0.0000
0.5000 0.0000 0.0000
0.5000 0.5000 0.5000
```

Distance to the lowest polymorph of the same formula = 263.2 meV per atom
Formation energy from the elements = 18.6 kcal/mol of atoms
Electronic total energy = -2.96 eV per atom

=====

1.
A relaxed NdAsPd4 crystal, computed with PBE-GGA.

Its uncorrected energy is -5.4700 eV/atom. Its calculated density is 9.6 Mg/m³.

It has space group F-43m (No. 216), with a = 7.6325 Å, b = 7.6325 Å, c = 7.6325 Å, α = 90.00°, β = 90.00° and γ = 90.00°. Symmetry generates all atoms from Nd at (0.0000, 0.0000, 0.0000), As at (0.2500, 0.2500, 0.7500) and Pd at (0.1250, 0.1250, 0.3750).



2.
A relaxed PrFe2I8 crystal, computed with PBE-GGA.

The energy relative to the elements, uncorrected comes out at -0.595 eV/atom. Its calculated density is 3.8 Mg/m³.

It has space group C2/m (No. 12), with a = 13.3738 Å, b = 11.6517 Å, c = 7.0841 Å, α = 90.00°, β = 93.42° and γ = 90.00°. Symmetry generates all atoms from Pr at (0.0000, 0.0000, 0.0000), Fe at (0.1964, 0.0000, 0.6510), I at (0.1037, 0.1857, 0.7574), I at (0.1250, 0.5000, 0.2237) and I at (0.1969, 0.0000, 0.2809).



3.
A relaxed La2CdInRu crystal, computed with PBE-GGA.

Its uncorrected energy is -4.7962 eV/atom. Its calculated density is 6.7 Mg/m³.

It has space group P4/mmm (No. 123), with a = 5.3086 Å, b = 5.3086 Å, c = 5.3677 Å, α = 90.00°, β = 90.00° and γ = 90.00°. Symmetry generates all atoms from La at (0.0000, 0.5000, 0.0000), Cd at (0.0000, 0.0000, 0.5000), In at (0.5000, 0.5000, 0.5000) and Ru at (0.0000, 0.0000, 0.0000).

=====

## NdYMgAu (GGA-PBE)

Data for a relaxed structure of NdYMgAu.

```
data_NdYMgAu
_chemical_formula_sum 'Nd1 Y1 Mg1 Au1'
_space_group_name_H-M_alt 'P 1'
_space_group_IT_number 1
_space_group_name_Hall 'P 1'
_cell_length_a 3.755
_cell_length_b 3.755
_cell_length_c 7.428
_cell_angle_alpha 90.00
_cell_angle_beta 90.00
_cell_angle_gamma 90.00
loop_
_atom_site_label
_atom_site_fract_x
_atom_site_fract_y
_atom_site_fract_z
Au1 0.500 0.500 0.125
Mg1 0.500 0.500 0.595
Y1 0.000 0.000 0.340
Nd1 0.000 0.000 0.868
```

Computed properties:
For the total energy, the calculation gives -4.481 eV/atom. As for the total magnetization: 0.0 μB/f.u. For the calculated volume, the calculation gives 26.18 A^3/atom. For the energy above the lowest structure with this stoichiometry, the calculation gives 0 meV per atom. The calculation puts the formation energy at -1.822 eV/f.u.

=====

MgCdSeS: relaxed, PBE.

The structure in POSCAR format:
```
MgCdSeS
1.0
4.203 0.000 0.000
-2.102 3.640 0.000
0.000 0.000 6.853
Mg Cd Se S
1 1 1 1
direct
0.000 0.000 0.000 Mg
0.667 0.333 0.529 Cd
0.000 0.000 0.379 Se
0.667 0.333 0.905 S
```

Properties
The space group is P3m1. The total energy is -14.005 eV per formula unit.

=====

Below is YS2N2 after structural relaxation, with properties calculated at the GGA-PBEsol level.

Lattice parameters (Å, degrees): 3.9940 3.9940 4.0452 90.00 90.00 90.00
Last column: nearest neighbours and their distance in Å.
Fractional positions:
S (0.0000, 0.5000, 0.0000)  2 N 2.00
N (0.0000, 0.0000, 0.5000)  2 N 2.02
S (0.5000, 0.0000, 0.0000)  2 N 2.00
N (0.0000, 0.0000, 0.0000)  4 S 2.00, 2 N 2.02
Y (0.5000, 0.5000, 0.5000)  4 N 2.82, 8 S 2.84

Computed properties:
The space-group type is P4/mmm, No. 123. The value obtained for the formation energy without anion corrections is 0.3009 eV/atom. For the density of states at the Fermi level, the calculation gives 2.04 states/eV/cell. The final energy is -6.23 eV per atom.